Input
=====
7
Properties=species:S:1:pos:R:3:forces:R:3 method="wB97M-V/def2-TZVPD" orbital_gap_ev=8.321 homo_energy_ev=-9.45 charge=0 relative_energy_kj_mol=270.30 energy_ha=-1287.21836 largest_force_ev_per_a=1.58 lumo_ev=-1.131
C 0.19166 1.13235 1.83257 -1.2 0.9 -0.5
C -0.41491 0.51169 0.97764 0.4 -1.3 0.0
Si -0.49820 -1.17098 0.12770 1.3 0.9 -0.4
Cl 1.58918 -0.18283 -3.65295 -0.2 -0.1 0.6
Cl -2.30469 -1.85444 0.66229 -1.2 -0.3 0.4
H 0.26427 1.96531 2.49173 0.7 -0.1 0.4
H 1.17269 -0.40110 -2.43898 0.2 0.1 -0.6

* * * * *

Entry 1:
Entry from the Open Molecules 2025 dataset: a molecular structure, C30H55ClP2PbSSi2 in a non-equilibrium geometry (ωB97M-V/def2-TZVPD).

Geometry (Å):
1 Pb 0.768 -0.852 -0.279
2 C -1.710 1.981 0.986
3 C -1.807 0.815 1.748
4 C -0.580 0.685 2.496
5 Si -3.377 -0.225 1.824
6 C 0.300 1.680 2.039
7 C -0.383 2.418 1.005
8 Si 0.224 3.863 -0.043
9 H -2.570 2.569 0.606
10 H -0.440 0.023 3.361
11 H 1.267 1.961 2.477
12 Cl 2.709 -2.692 -0.643
13 C -1.266 4.816 -0.607
14 C 1.390 4.935 0.940
15 C -4.803 0.829 1.260
16 C -3.669 -0.808 3.569
17 H 0.847 5.363 1.804
18 H 1.719 5.773 0.292
19 H 2.280 4.407 1.319
20 H -1.910 4.225 -1.277
21 H -0.934 5.715 -1.154
22 H -1.882 5.139 0.250
23 H -3.782 0.074 4.228
24 H -2.864 -1.440 3.975
25 H -4.620 -1.377 3.593
26 H -4.869 1.754 1.861
27 H -5.743 0.261 1.393
28 H -4.721 1.123 0.204
29 C 1.087 3.159 -1.559
30 C -3.154 -1.696 0.662
31 P 2.009 1.602 -1.316
32 H 1.748 3.966 -1.946
33 H 0.312 2.937 -2.329
34 P -1.490 -2.436 0.505
35 H -3.407 -1.350 -0.366
36 H -3.883 -2.472 0.990
37 C -1.484 -3.912 -0.680
38 C -1.169 -3.162 2.204
39 C 3.456 2.098 -0.223
40 C 2.772 1.036 -2.955
41 C 1.957 -0.115 -3.549
42 H 3.766 0.645 -2.654
43 C 2.971 2.159 -3.962
44 H 2.022 2.616 -4.279
45 H 3.446 1.729 -4.861
46 H 3.632 2.958 -3.592
47 H 1.971 -1.017 -2.911
48 H 2.394 -0.399 -4.515
49 H 0.904 0.159 -3.726
50 H 2.969 2.578 0.643
51 C 4.380 3.108 -0.894
52 C 4.199 0.852 0.258
53 H 3.859 4.011 -1.236
54 H 4.908 2.658 -1.748
55 H 5.139 3.422 -0.164
56 H 3.556 0.140 0.801
57 H 5.007 1.151 0.938
58 H 4.651 0.308 -0.582
59 H -1.345 -2.312 2.886
60 C 0.288 -3.601 2.321
61 C -2.144 -4.284 2.541
62 H -3.196 -3.978 2.481
63 H -1.950 -4.608 3.573
64 H -1.991 -5.152 1.882
65 H 1.013 -2.790 2.146
66 H 0.521 -4.401 1.606
67 H 0.464 -3.989 3.332
68 C -0.910 -3.574 -2.058
69 C -2.867 -4.523 -0.842
70 H -0.812 -4.641 -0.176
71 H -3.580 -3.803 -1.269
72 H -3.291 -4.911 0.095
73 H -2.782 -5.367 -1.548
74 H -1.564 -2.911 -2.645
75 H -0.802 -4.519 -2.613
76 H 0.098 -3.127 -2.031
77 C 4.459 -3.958 -0.160
78 H 4.794 -3.759 0.883
79 H 3.968 -4.941 -0.333
80 H 5.137 -3.596 -0.964
81 S -1.696 0.078 -2.426
82 C -2.248 1.503 -3.157
83 C -1.567 2.128 -4.242
84 C -1.963 3.385 -4.703
85 C -3.113 3.974 -4.140
86 C -3.814 3.403 -3.041
87 C -3.375 2.157 -2.583
88 H -0.671 1.653 -4.644
89 H -1.356 3.928 -5.443
90 H -3.464 4.940 -4.530
91 H -4.625 3.925 -2.532
92 H -3.832 1.715 -1.698

Kohn-Sham gap (spin up / spin down) ... 4.280 / 4.279 eV
Strongest force on any atom ... 3.83 eV Å⁻¹
Total charge ... 0
LUMO level (spin up / spin down) ... -1.878 / -1.879 eV
HOMO energy (spin up / spin down) ... -6.16 / -6.16 eV

---

Entry 2:
Entry from the Open Molecules 2025 dataset: a molecular structure, C30H55F5N10OSZr in a non-equilibrium geometry (ωB97M-V/def2-TZVPD).

Geometry (Å):
1 Zr -0.068 0.147 -0.032
2 C -0.999 0.510 5.076
3 N 0.112 -0.282 4.569
4 C 0.940 -0.856 5.627
5 C 0.345 -0.578 3.269
6 N 0.248 0.326 2.289
7 C 0.463 1.726 2.732
8 C 0.119 2.730 1.646
9 N 0.692 2.313 0.351
10 C 2.168 2.468 0.373
11 C 2.834 1.105 0.354
12 N 2.363 0.380 -0.826
13 C 3.307 -0.031 -1.651
14 N 4.650 0.072 -1.338
15 C 5.241 -0.684 -0.248
16 C 5.591 0.628 -2.302
17 N 3.034 -0.513 -2.881
18 C 1.735 -0.327 -3.489
19 C 3.938 -1.416 -3.582
20 C 0.117 3.094 -0.761
21 C -1.403 2.920 -0.864
22 N -1.869 1.716 -0.150
23 C -3.187 1.718 0.047
24 N -3.800 1.041 1.037
25 C -5.171 0.567 0.898
26 C -3.145 0.542 2.221
27 N -4.004 2.507 -0.711
28 C -4.028 2.427 -2.163
=====

Activity
Write out the rows further above from the line with "LUMO level" to the end word for word.

Result
LUMO level (spin up / spin down) ... -1.878 / -1.879 eV
HOMO energy (spin up / spin down) ... -6.16 / -6.16 eV

---

Entry 2:
Entry from the Open Molecules 2025 dataset: a molecular structure, C30H55F5N10OSZr in a non-equilibrium geometry (ωB97M-V/def2-TZVPD).

Geometry (Å):
1 Zr -0.068 0.147 -0.032
2 C -0.999 0.510 5.076
3 N 0.112 -0.282 4.569
4 C 0.940 -0.856 5.627
5 C 0.345 -0.578 3.269
6 N 0.248 0.326 2.289
7 C 0.463 1.726 2.732
8 C 0.119 2.730 1.646
9 N 0.692 2.313 0.351
10 C 2.168 2.468 0.373
11 C 2.834 1.105 0.354
12 N 2.363 0.380 -0.826
13 C 3.307 -0.031 -1.651
14 N 4.650 0.072 -1.338
15 C 5.241 -0.684 -0.248
16 C 5.591 0.628 -2.302
17 N 3.034 -0.513 -2.881
18 C 1.735 -0.327 -3.489
19 C 3.938 -1.416 -3.582
20 C 0.117 3.094 -0.761
21 C -1.403 2.920 -0.864
22 N -1.869 1.716 -0.150
23 C -3.187 1.718 0.047
24 N -3.800 1.041 1.037
25 C -5.171 0.567 0.898
26 C -3.145 0.542 2.221
27 N -4.004 2.507 -0.711
28 C -4.028 2.427 -2.163